• To do:
Your job: start at the top of the listing further down and type out each line, ending with the one that has "0.837".
• Contents:
********
# 1
Theoretical powder XRD pattern
Compound: LuBiN2O
Radiation: Cu Kα X-rays
Structure: a GGA-PBE-relaxed structure
Intensities are scaled so that the largest is 100.

Atomic structure:
```
data_LuBiN2O
_symmetry_space_group_name_H-M 'P 1 21/c 1'
_symmetry_Int_Tables_number 14
_cell_length_a 9.038
_cell_length_b 6.884
_cell_length_c 11.789
_cell_angle_alpha 90.00
_cell_angle_beta 130.16
_cell_angle_gamma 90.00
loop_
_symmetry_equiv_pos_as_xyz
'x,y,z'
'-x,-y,-z'
'-x,y+1/2,-z+1/2'
'x,-y+1/2,z+1/2'
loop_
_atom_site_label
_atom_site_type_symbol
_atom_site_fract_x
_atom_site_fract_y
_atom_site_fract_z
Lu1 Lu 0.088 0.011 0.173
Lu2 Lu 0.120 0.516 0.183
Bi1 Bi 0.356 0.246 0.099
Bi2 Bi 0.360 0.739 0.008
N1 N 0.211 0.515 0.025
N2 N 0.244 0.018 0.944
N3 N 0.350 0.247 0.279
N4 N 0.353 0.711 0.822
O1 O 0.013 0.210 0.997
O2 O 0.016 0.747 0.764
```

Largest 10 diffraction maxima, by intensity, 10° ≤ 2θ ≤ 90°:
2theta, intensity, hkl
29.0, 100, 1 2 0
29.9, 71, 1 0 2
32.9, 68, 2 2 -2
30.1, 66, 3 0 -2
32.7, 52, 0 2 2
30.3, 43, 2 0 -4
33.1, 40, 2 1 -4
50.2, 30, 4 2 -2
47.5, 30, 3 2 0
50.0, 28, 2 2 2


# 2
Theoretical powder XRD pattern
Compound: KLaCoSe3
Radiation: Cu Kα X-rays
Structure: a GGA-PBE-relaxed structure
Intensities are scaled so that the largest is 100.

Atomic structure:
```
data_KLaCoSe3
_symmetry_space_group_name_H-M 'P n m a'
_symmetry_Int_Tables_number 62
_cell_length_a 11.717
_cell_length_b 4.312
_cell_length_c 12.574
_cell_angle_alpha 90.00
_cell_angle_beta 90.00
_cell_angle_gamma 90.00
loop_
_symmetry_equiv_pos_as_xyz
'x,y,z'
'-x,-y,-z'
'-x+1/2,-y,z+1/2'
'x+1/2,y,-z+1/2'
'x+1/2,-y+1/2,-z+1/2'
'-x+1/2,y+1/2,z+1/2'
'-x,y+1/2,-z'
'x,-y+1/2,z'
loop_
_atom_site_label
_atom_site_type_symbol
_atom_site_fract_x
_atom_site_fract_y
_atom_site_fract_z
K1 K 0.170 0.250 0.008
La1 La 0.019 0.250 0.673
Co1 Co 0.247 0.250 0.295
Se1 Se 0.056 0.750 0.836
Se2 Se 0.116 0.250 0.442
Se3 Se 0.216 0.750 0.207
```

Largest 10 diffraction maxima, by intensity, 10° ≤ 2θ ≤ 90°:
2theta, intensity, hkl
36.2, 100, 1 1 4
14.1, 88, 0 0 2
34.1, 84, 3 1 2
26.2, 83, 1 1 2
30.7, 75, 1 1 3
41.9, 72, 0 2 0
33.8, 72, 4 0 2
31.3, 60, 4 0 1
29.4, 58, 2 1 2
10.3, 57, 1 0 1


# 3
Theoretical powder XRD pattern
Compound: Hf4F7
Radiation: Cu Kα X-rays
Structure: a GGA-PBE-relaxed structure
Intensities are scaled so that the largest is 100.

Atomic structure:
```
data_Hf4F7
_symmetry_space_group_name_H-M 'P -4 3 m'
_symmetry_Int_Tables_number 215
_symmetry_space_group_name_Hall 'P -4 2 3'
_cell_length_a 5.152
_cell_length_b 5.152
_cell_length_c 5.152
_cell_angle_alpha 90.00
_cell_angle_beta 90.00
_cell_angle_gamma 90.00
loop_
_atom_site_label
_atom_site_type_symbol
_atom_site_fract_x
_atom_site_fract_y
_atom_site_fract_z
Hf1 Hf 0.206 0.206 0.206
F1 F 0.000 0.000 0.500
F2 F 0.000 0.500 0.500
F3 F 0.500 0.500 0.500
```

Largest 10 diffraction maxima, by intensity, 10° ≤ 2θ ≤ 90°:
2theta, intensity, hkl
30.0, 100, 1 1 1
50.1, 38, 2 2 0
43.0, 35, 2 1 1
34.8, 27, 2 0 0
59.5, 22, 3 1 1
17.2, 21, 1 0 0
78.8, 20, 4 1 1
53.3, 19, 3 0 0
65.3, 15, 3 2 0
39.1, 13, 2 1 0


# 4
Theoretical powder XRD pattern
Compound: Dy2Tm5Hg
Radiation: Cu Kα X-rays
Structure: a GGA-PBE-relaxed structure
Intensities are scaled so that the largest is 100.

Atomic structure:
```
data_Dy2Tm5Hg
_symmetry_space_group_name_H-M 'A m m 2'
_symmetry_Int_Tables_number 38
_cell_length_a 5.478
_cell_length_b 6.989
_cell_length_c 12.105
_cell_angle_alpha 90.00
_cell_angle_beta 90.00
_cell_angle_gamma 90.00
loop_
_symmetry_equiv_pos_as_xyz
'x,y,z'
'-x,-y,z'
'-x,y,z'
'x,-y,z'
'x,y+1/2,z+1/2'
'-x,-y+1/2,z+1/2'
'-x,y+1/2,z+1/2'
'x,-y+1/2,z+1/2'
loop_
_atom_site_label
_atom_site_type_symbol
_atom_site_fract_x
_atom_site_fract_y
_atom_site_fract_z
Dy1 Dy 0.000 0.000 0.000
Dy2 Dy 0.500 0.000 0.341
Tm1 Tm 0.000 0.243 0.756
Tm2 Tm 0.500 0.000 0.837
Tm3 Tm 0.500 0.247 0.587
Hg1 Hg 0.000 0.000 0.507
```

Largest 10 diffraction maxima, by intensity, 10° ≤ 2θ ≤ 90°:
2theta, intensity, hkl
33.8, 100, 1 2 2
32.7, 24, 2 0 0
********
• Done:
# 1
Theoretical powder XRD pattern
Compound: LuBiN2O
Radiation: Cu Kα X-rays
Structure: a GGA-PBE-relaxed structure
Intensities are scaled so that the largest is 100.

Atomic structure:
```
data_LuBiN2O
_symmetry_space_group_name_H-M 'P 1 21/c 1'
_symmetry_Int_Tables_number 14
_cell_length_a 9.038
_cell_length_b 6.884
_cell_length_c 11.789
_cell_angle_alpha 90.00
_cell_angle_beta 130.16
_cell_angle_gamma 90.00
loop_
_symmetry_equiv_pos_as_xyz
'x,y,z'
'-x,-y,-z'
'-x,y+1/2,-z+1/2'
'x,-y+1/2,z+1/2'
loop_
_atom_site_label
_atom_site_type_symbol
_atom_site_fract_x
_atom_site_fract_y
_atom_site_fract_z
Lu1 Lu 0.088 0.011 0.173
Lu2 Lu 0.120 0.516 0.183
Bi1 Bi 0.356 0.246 0.099
Bi2 Bi 0.360 0.739 0.008
N1 N 0.211 0.515 0.025
N2 N 0.244 0.018 0.944
N3 N 0.350 0.247 0.279
N4 N 0.353 0.711 0.822
O1 O 0.013 0.210 0.997
O2 O 0.016 0.747 0.764
```

Largest 10 diffraction maxima, by intensity, 10° ≤ 2θ ≤ 90°:
2theta, intensity, hkl
29.0, 100, 1 2 0
29.9, 71, 1 0 2
32.9, 68, 2 2 -2
30.1, 66, 3 0 -2
32.7, 52, 0 2 2
30.3, 43, 2 0 -4
33.1, 40, 2 1 -4
50.2, 30, 4 2 -2
47.5, 30, 3 2 0
50.0, 28, 2 2 2


# 2
Theoretical powder XRD pattern
Compound: KLaCoSe3
Radiation: Cu Kα X-rays
Structure: a GGA-PBE-relaxed structure
Intensities are scaled so that the largest is 100.

Atomic structure:
```
data_KLaCoSe3
_symmetry_space_group_name_H-M 'P n m a'
_symmetry_Int_Tables_number 62
_cell_length_a 11.717
_cell_length_b 4.312
_cell_length_c 12.574
_cell_angle_alpha 90.00
_cell_angle_beta 90.00
_cell_angle_gamma 90.00
loop_
_symmetry_equiv_pos_as_xyz
'x,y,z'
'-x,-y,-z'
'-x+1/2,-y,z+1/2'
'x+1/2,y,-z+1/2'
'x+1/2,-y+1/2,-z+1/2'
'-x+1/2,y+1/2,z+1/2'
'-x,y+1/2,-z'
'x,-y+1/2,z'
loop_
_atom_site_label
_atom_site_type_symbol
_atom_site_fract_x
_atom_site_fract_y
_atom_site_fract_z
K1 K 0.170 0.250 0.008
La1 La 0.019 0.250 0.673
Co1 Co 0.247 0.250 0.295
Se1 Se 0.056 0.750 0.836
Se2 Se 0.116 0.250 0.442
Se3 Se 0.216 0.750 0.207
```

Largest 10 diffraction maxima, by intensity, 10° ≤ 2θ ≤ 90°:
2theta, intensity, hkl
36.2, 100, 1 1 4
14.1, 88, 0 0 2
34.1, 84, 3 1 2
26.2, 83, 1 1 2
30.7, 75, 1 1 3
41.9, 72, 0 2 0
33.8, 72, 4 0 2
31.3, 60, 4 0 1
29.4, 58, 2 1 2
10.3, 57, 1 0 1


# 3
Theoretical powder XRD pattern
Compound: Hf4F7
Radiation: Cu Kα X-rays
Structure: a GGA-PBE-relaxed structure
Intensities are scaled so that the largest is 100.

Atomic structure:
```
data_Hf4F7
_symmetry_space_group_name_H-M 'P -4 3 m'
_symmetry_Int_Tables_number 215
_symmetry_space_group_name_Hall 'P -4 2 3'
_cell_length_a 5.152
_cell_length_b 5.152
_cell_length_c 5.152
_cell_angle_alpha 90.00
_cell_angle_beta 90.00
_cell_angle_gamma 90.00
loop_
_atom_site_label
_atom_site_type_symbol
_atom_site_fract_x
_atom_site_fract_y
_atom_site_fract_z
Hf1 Hf 0.206 0.206 0.206
F1 F 0.000 0.000 0.500
F2 F 0.000 0.500 0.500
F3 F 0.500 0.500 0.500
```

Largest 10 diffraction maxima, by intensity, 10° ≤ 2θ ≤ 90°:
2theta, intensity, hkl
30.0, 100, 1 1 1
50.1, 38, 2 2 0
43.0, 35, 2 1 1
34.8, 27, 2 0 0
59.5, 22, 3 1 1
17.2, 21, 1 0 0
78.8, 20, 4 1 1
53.3, 19, 3 0 0
65.3, 15, 3 2 0
39.1, 13, 2 1 0


# 4
Theoretical powder XRD pattern
Compound: Dy2Tm5Hg
Radiation: Cu Kα X-rays
Structure: a GGA-PBE-relaxed structure
Intensities are scaled so that the largest is 100.

Atomic structure:
```
data_Dy2Tm5Hg
_symmetry_space_group_name_H-M 'A m m 2'
_symmetry_Int_Tables_number 38
_cell_length_a 5.478
_cell_length_b 6.989
_cell_length_c 12.105
_cell_angle_alpha 90.00
_cell_angle_beta 90.00
_cell_angle_gamma 90.00
loop_
_symmetry_equiv_pos_as_xyz
'x,y,z'
'-x,-y,z'
'-x,y,z'
'x,-y,z'
'x,y+1/2,z+1/2'
'-x,-y+1/2,z+1/2'
'-x,y+1/2,z+1/2'
'x,-y+1/2,z+1/2'
loop_
_atom_site_label
_atom_site_type_symbol
_atom_site_fract_x
_atom_site_fract_y
_atom_site_fract_z
Dy1 Dy 0.000 0.000 0.000
Dy2 Dy 0.500 0.000 0.341
Tm1 Tm 0.000 0.243 0.756
Tm2 Tm 0.500 0.000 0.837